Greater Bay Holdings Berhad (the “Company”) is committed to provide information about the Company, its management, operations, financial condition and future prospects. This information is directed to a diverse audience of shareholders, stakeholders and the general public. The aim is to represent the Company fairly and accurately, so that investors and potential investors can make properly informed investment decisions, and others can have a balanced understanding of the Company and its objectives.
This Policy serves two purposes. First, it is the foundation of the Company’s Investor Relations (“IR”) programme and provides an internal framework of processes and procedures. Second, it is a statement to the Company’s shareholders and other stakeholders on how the Company intends to keep them informed of material developments and maintain effective communication with them.
This policy will apply to all directors and employees of the Company.
The recommendations contained in the Malaysian Code on Corporate Governance and its disclosure obligations contained in Bursa Malaysia’s Listing Requirements have been taken into account in formulating this IR policy.
This IR programme is driven by the following principles, whereby the Company will:
- Report its financial results and material developments to the Exchange, its shareholders and other relevant stakeholders in an open and comprehensive manner;
- Communicate only through its designated channels and approved spokespersons;
- Utilise its website and corporate e-mail as an additional primary communication channel;
- Address inaccurate or false reports to avoid unnecessary speculation in its securities;
- Give reasonable access, based on what is permissible to be publicly disclosed, to stakeholders to help them have informed opinions of the Company; and
- Endeavour to meet with its major shareholders at least once in each fiscal year as part of its on-going programme to inform and obtain feedback on the Company.
Having this structured approach to the communication of material information would benefit both the Company and its shareholders. The Company may develop corporate credibility and investor confidence through this IR programme.
The Company will always fully comply with its disclosure obligations expressed in Bursa Malaysia’s Listing Requirements of the Exchange. Material information is any information about the Company which is expected to have a material effect on the market price or value of the Company’s securities, or activity in the trading of its securities; or a decision to buy, sell or continue holding the Company’s securities which is made by an existing holder of those securities, or someone considering an investment in those securities.
The following gives a general description of matters which would be regarded as material information, but is not limited to the following:
- Change in shareholders which might affect control of the Company.
- New issue of securities by the Company.
Crystal structures, as found in the file:
........
The following is a calculated powder diffractogram of NdWNO3. It was derived from a DFT-relaxed cell (PBE+U, the Materials Project), using CuKα.

Structure:
a b c (Å): 5.274 5.486 6.733
angles (deg): 112.41 108.73 92.17
Space group P1 (No. 1)
Inequivalent atoms, fractional coordinates:
Nd1 0.000 0.000 0.000 x1
Nd2 0.248 0.733 0.488 x1
W1 0.509 0.498 0.980 x1
W2 0.733 0.233 0.528 x1
N1 0.430 0.999 0.318 x1
N2 0.590 0.186 0.799 x1
O1 0.254 0.654 0.825 x1
O2 0.333 0.408 0.146 x1
O3 0.667 0.592 0.664 x1
O4 0.850 0.715 0.155 x1
O5 0.912 0.306 0.345 x1
O6 0.998 0.049 0.653 x1

Top 6 peaks for 2θ = 10–80°, in order of rising 2θ:
hkl 1 -1 1, 27.23 deg, rel. 100.0
hkl 1 1 0, 27.74 deg, rel. 99.2
hkl -1 1 1, 28.18 deg, rel. 90.5
hkl 1 1 -2, 29.22 deg, rel. 72.6
hkl 0 0 2, 30.84 deg, rel. 56.0
hkl 0 2 -1, 32.67 deg, rel. 46.1

The following is a calculated powder diffractogram of MgFe8O8F8. It was derived from a DFT-relaxed cell (PBE+U, the Materials Project), using CuKα.

Structure:
a b c (Å): 5.093 5.329 11.675
angles (deg): 89.23 89.60 89.39
Space group P1 (No. 1)
Inequivalent atoms, fractional coordinates:
Mg1 0.000 0.000 0.000 x1
Fe1 0.060 0.610 0.386 x1
Fe2 0.419 0.099 0.506 x1
Fe3 0.492 0.239 0.004 x1
Fe4 0.547 0.957 0.255 x1
Fe5 0.560 0.969 0.756 x1
Fe6 0.914 0.454 0.627 x1
Fe7 0.932 0.465 0.146 x1
Fe8 0.962 0.505 0.872 x1
O1 0.139 0.360 0.013 x1
O2 0.166 0.369 0.502 x1
O3 0.304 0.877 0.380 x1
O4 0.669 0.184 0.626 x1
O5 0.729 0.148 0.881 x1
O6 0.729 0.167 0.138 x1
O7 0.768 0.672 0.746 x1
O8 0.801 0.687 0.263 x1
F1 0.179 0.338 0.741 x1
F2 0.213 0.391 0.258 x1
F3 0.251 0.865 0.879 x1
F4 0.277 0.900 0.128 x1
F5 0.293 0.873 0.632 x1
F6 0.675 0.187 0.378 x1
F7 0.779 0.701 0.023 x1
F8 0.795 0.700 0.504 x1

Top 6 peaks for 2θ = 10–80°, in order of rising 2θ:
hkl 1 1 0, 24.05 deg, rel. 100.0
hkl 1 -1 0, 24.30 deg, rel. 98.8
hkl 1 1 -2, 28.73 deg, rel. 37.5
hkl 1 0 4, 35.30 deg, rel. 42.9
hkl 1 -1 4, 39.58 deg, rel. 28.7
hkl 2 -1 4, 50.71 deg, rel. 44.8

The following is a calculated powder diffractogram of Li7Mn5O12. It was derived from a DFT-relaxed cell (PBE+U, the Materials Project), using CuKα.

Structure:
a b c (Å): 5.095 8.994 10.116
angles (deg): 103.48 100.98 91.35
Space group P-1 (No. 2)
Inequivalent atoms, fractional coordinates:
Li1 0.000 0.000 0.000 x1
Li2 0.004 0.655 0.999 x2
Li3 0.238 0.912 0.253 x2
Li4 0.250 0.250 0.249 x2
Li5 0.254 0.249 0.747 x2
Li6 0.266 0.589 0.253 x2
Li7 0.494 0.832 0.496 x2
Li8 0.500 0.500 0.500 x1
........
The entry goes on:
- Information concerning dividends.
- Reorganisation or reconstruction of the Company.
- Material litigation and court decisions.
- Mergers, acquisitions and other major corporate developments.
- Significant borrowings and any ratings attached to those borrowings.
- Any event of default in respect of a material financial obligation of the Company.
- Material changes in the Company’s business or its strategy or investment plans.
- Quarterly reports of interim financial results, and the Company’s annual audited accounts.
- Other events that may be expected to have a material effect on the Company’s operations, financial condition or future prospects.
In determining materiality, the Company will assess the likely effect of the information on the price of the Company’s securities, which would also include a determination of whether the circumstances or events are measurable and trigger the materiality thresholds in the Exchange’s methods for percentage ratio calculation. Material information concerning the Company provided in written or oral communications would typically include:
- Reports and documents provided to the Exchange and other regulators.
- Materials and statements in Company’s Annual Reports, quarterly reports, press releases, letters, and circulars to shareholders.
- Information provided or presented on behalf of the Company at official events.
- Information published on the Company’s websites.
- Articles concerning the Company.
- Correspondence and e-mails.
The audience may be diverse and include the following:
- Shareholders and prospective investors.
- Analysts, fund managers and investment bankers.
- The financial press and other media.
- Government and regulators.
- Business partners and service providers.
The Company will endeavour to ensure all material information concerning the Company is made available on a timely basis. The Company encourages an exchange of opinion with principal stakeholders and may communicate to facilitate such dialogue.
The Company’s communication will be conducted according to the following attributes:
- Transparency – Material information will be released, whether it is favourable or not, in a balanced and fair manner that is not misleading.
- Consistency – All relevant stakeholders will receive the same information, only formats may differ depending on the audience.
- Accuracy – Information should be complete and accurate when released and any material errors will be immediately corrected and clarified.
- Timeliness – Material information will be released as soon as it is known, unless there are exceptional legitimate reasons to withhold, which will be no longer than necessary.
- Non-selective – Equality of access to material information will be achieved through broad public dissemination; no stakeholder will be given otherwise undisclosed material information in any form.
The Board of Directors or Managing Director of the Company may authorize spokesperson(s), who may only communicate with audience constituents in connection with their specific areas of responsibility within the Company. No other individuals may act as spokespersons for the Company.
All information regarding the Company, its operations, financial condition and future prospects, should be regarded as material and price-sensitive, and must be treated as confidential unless it is already in the public domain.
Access to confidential information will be restricted to those persons (including employees and third parties, such as the Company’s auditors, bankers, lawyers or other professional advisors) with a legitimate need for such information, determined by their duties or obligations to the Company.
In the event of an information leakage, or the accidental disclosure of unpublished material information, the situation will be addressed in line with the Company’s chain of authority and responsibility. If deemed necessary, the Company will make an appropriate announcement to Bursa Malaysia as soon as practicably possible, which may be followed by a press release and/or other communication modes.
The Company will take the following steps in announcing material information:
Step 1: Approval is given for release of material information in line with the chain of authority and responsibility.
Step 2: An announcement is made to Bursa Malaysia during trading hours. (Note: If the Company believes it would assist in having the news or information better understood and widely disseminated, Bursa Malaysia may be requested to temporarily suspend trading in the Company’s securities, so that an announcement can be made during trading hours.)
Step 3: Issue of a Company press release to major newspapers and newswire services in Malaysia. (Note: Except in a limited number of minor, administrative situations, any news or information which is announced to the Exchange will be followed by a press release.)
Step 4: A press conference or briefing/presentation for investors, analysts and the media may be convened. (Note: This will usually take place following the announcement of the Company’s quarterly reports (interim financial reports), as well as the announcement of any major corporate development.)
Step 5: The Company press / public release, and any material produced for press / public release, are posted on the Company’s website, and email copies are dispatched to relevant persons on the Company’s mailing list.
General Meeting(s)
Notice for General Meeting – including Annual General Meeting(s) (“AGM”) and Extraordinary General Meeting(s) (“EGM”) – will be announced to Bursa Malaysia and in a daily newspaper and will be in compliance with the Listing Requirements (e.g. with notice given to the shareholders at least 28 days prior to the meeting). The content of the General Meeting will concentrate on the Company’s resolutions, financial performance, development, strategy, and any relevant operational matters of interest to shareholders.
The General Meeting or AGM is regarded as a vital avenue, especially for communicating with our retail shareholders. The Company deems this as the opportunity for shareholders to engage with the Board and key senior management to gain a fuller understanding of the Company’s operations. As such, meetings will be conducted in a manner which permits reasonable enquiry, and the Company will strive to provide shareholders with all relevant information, where permissible, and which may include written answers.
Circulation of Quarterly Financial Report & Analyst Presentation Material
The Company’s quarterly financial results will be made available on Bursa Malaysia’s website on the day of approval from the Board, in compliance with Bursa Malaysia’s format. Thereafter, quarterly report and presentation material will be posted on the Company’s website.
Analyst Reports
It is the Company’s policy to refrain from commenting on draft analysts’ reports or models and attempts to influence the analyst’s opinion or recommendations. The Company will not endorse or externally distribute any analysts’ reports. However, the Company, may respond or reach out to the analyst(s) in order to correct or clarify any inaccurate or misleading information. Furthermore, the Company may internally circulate such reports to its Board and senior management to aid them in understanding prevailing market perception of the Company.
Annual Report
Annual Reports will be published and distributed in both printed and electronic format. Printed copies of annual report will be delivered only to those who notify the Company that they would like to receive the printed annual report. An electronic copy of annual report will also be made available on the Company’s website.
Responding to Market Rumours
The Company will not normally respond or comment on market rumours or speculation, unless it contains material information that may have a potential impact on the Company’s share price. If a report or rumour about the Company contains material information, the Company may issue an announcement to Bursa Malaysia together with facts of the matter and provide sufficient supporting information to deny or clarify the report or rumour.
Forward-looking Information & Comment
To assist investors and other stakeholders in evaluating the Company, the prospects/outlook for the Company are provided in the quarterly or annual report. This may also be included in any subsequent release of information. Any forward-looking information or comment will be clearly qualified by a disclaimer or guidance not to rely on the data, to be included in all relevant written materials.
Crisis Communication
Any potentially damaging event, of either an operational or financial nature, which might materially and negatively affect the Company or its financial condition or have a material adverse effect on the price of the Company’s securities, is regarded as a crisis. The Board of Directors of the Company, with assistance from the Senior Management and Company Secretary, endeavour to release and disclose such relevant information on a timely basis.
Major Corporate Developments
The Company will strictly enforce its procedures for the protection of confidentiality until such time as the development of any major corporate development, such as a merger or acquisition or the commencement of a significant new business or product, has received all requisite internal approvals. Thereafter, special attention will be paid to ensure the widest and most complete dissemination of information concerning the development, in line with the provisions of this policy and Bursa Malaysia’s Listing Requirements.
Other Investor Events and Matters
The Company may organise and participate in any investor events, as deemed appropriate, as part of its investor relations programme. The objective of such participation will be to provide investors with further opportunity to develop a better understanding of the Company’s business and prospects.
Anyone who has access to material information about the Company, its financial condition and its operations, is regarded as an “Insider”. Material information which is in the possession of an Insider and has not been disclosed to the Bursa Malaysia and the investing public is deemed as “Inside Information”. Unless explicitly disclosed, Insiders may not deal in the Company’s securities while in possession of Inside Information, nor may they pass on that information to help another person deal in the Company’s securities.
The Company welcomes comment and constructive criticism from investors and other major stakeholders. The Company has developed various channels (email, or directly via meetings) for investors and major stakeholders to provide their comments and feedback in relation to Company’s operational matters.
The Company will use its website as the primary communication conduit to enhance existing modes of disseminating information (asides from announcements made on Bursa Malaysia). The website will provide for email communication with the Company for stakeholders to provide their feedback, enquiries, and comments to the Company. Spam, inappropriate comments, and enquiries that does not conform to this Policy would not be addressed by the Company.
This Policy is subject to periodic review and any material changes may be amended as determined by the Company or the Board.
This policy was adopted by the Board of Directors on 23 November 2023 and was duly published on the Company’s website.